(Exercise)
Filter the material further down: keep the lines with the word "The".
(Excerpt)
┌──
# 1
The following is a PBE-GGA calculation of an optimized crystal structure of PrSmGa2, from Alexandria.

POSCAR file:
```
PrSmGa2
1.0
5.216 0.000 0.000
2.608 4.517 0.000
2.608 1.506 4.259
Pr Ga Sm
1 2 1
Direct
0.000 0.000 0.000
0.250 0.250 0.250
0.750 0.750 0.750
0.500 0.500 0.500
```

Properties
E, eV/atom: -4.4408
ρ, g cm⁻³: 7.13
Relative energy among the computed polymorphs, meV per atom: 36.7
Magnetization, μB per atom: 0.000

---

# 2
The following is a PBE-GGA calculation of an optimized crystal structure of AsOs2Cl, from Alexandria.

POSCAR file:
```
AsOs2Cl
1.0
6.456 0.188 -0.025
4.452 4.680 0.025
-5.104 -3.219 2.304
As Os Cl
1 2 1
Direct
0.466 0.466 0.000
0.046 0.046 0.000
0.229 0.729 0.500
0.759 0.259 0.500
```

Properties
E, eV/atom: -6.4025
ρ, g cm⁻³: 12.00
Relative energy among the computed polymorphs, meV per atom: 559.0
Magnetization, μB per atom: 0.000

---

# 3
The following is a PBE-GGA calculation of an optimized crystal structure of Ga2SbPbS6, from Alexandria.

POSCAR file:
```
Ga2SbPbS6
1.0
-2.414 1.035 -6.676
-7.369 -3.838 0.195
-4.917 6.635 0.932
Ga Sb Pb S
4 2 2 12
Direct
0.277 0.779 0.623
0.223 0.377 0.221
0.723 0.221 0.377
0.777 0.623 0.779
0.250 0.267 0.733
0.750 0.733 0.267
0.250 0.863 0.137
0.750 0.137 0.863
0.151 0.980 0.808
0.349 0.192 0.020
0.849 0.020 0.192
0.651 0.808 0.980
0.409 0.937 0.389
0.091 0.611 0.063
0.591 0.063 0.611
0.909 0.389 0.937
0.016 0.695 0.564
0.484 0.436 0.305
0.984 0.305 0.436
0.516 0.564 0.695
```

Properties
E, eV/atom: -4.2648
ρ, g cm⁻³: 4.67
Magnetization, μB per atom: 0.000

---

# 4
The following is a PBE-GGA calculation of an optimized crystal structure of LiAsCl2, from Alexandria.

POSCAR file:
```
LiAsCl2
1.0
-5.284 1.170 4.393
-2.207 -6.549 -0.911
-1.785 -3.717 4.373
As Li Cl
2 2 4
Direct
0.000 0.000 0.000
0.750 0.250 0.500
0.500 0.500 0.000
0.250 0.750 0.500
0.600 0.125 0.250
0.150 0.625 0.250
0.375 0.400 0.750
0.875 0.850 0.750
```

Properties
E, eV/atom: -3.0414
ρ, g cm⁻³: 3.04
Relative energy among the computed polymorphs, meV per atom: 402.6
Magnetization, μB per atom: 0.000

---

# 5
The following is a PBE-GGA calculation of an optimized crystal structure of La2ScMo, from Alexandria.

POSCAR file:
```
La2ScMo
1.0
5.204 0.000 0.000
2.602 4.507 0.000
2.602 1.502 4.249
La Mo Sc
2 1 1
Direct
0.000 0.000 0.000
0.250 0.250 0.250
0.500 0.500 0.500
0.750 0.750 0.750
```

Properties
E, eV/atom: -6.3529
ρ, g cm⁻³: 6.98
Relative energy among the computed polymorphs, meV per atom: 152.6
Magnetization, μB per atom: 0.000

---

# 6
The following is a PBE-GGA calculation of an optimized crystal structure of LaScSb2, from Alexandria.

POSCAR file:
```
LaScSb2
1.0
-1.353 0.234 -3.819
0.059 -3.477 -0.234
-7.290 -2.201 2.448
La Sb Sc
1 2 1
Direct
0.500 0.750 0.750
0.000 0.025 0.022
0.000 0.475 0.478
0.500 0.250 0.250
```

Properties
E, eV/atom: -5.7301
ρ, g cm⁻³: 6.46
Relative energy among the computed polymorphs, meV per atom: 231.1
Magnetization, μB per atom: 0.000

---

# 7
The following is a PBE-GGA calculation of an optimized crystal structure of NdSmHf, from Alexandria.

POSCAR file:
```
NdSmHf
1.0
-2.841 0.340 -1.827
-0.055 -3.351 -0.539
-2.775 0.548 7.570
Hf Nd Sm
1 1 1
Direct
0.668 0.668 0.337
0.013 0.013 0.025
0.319 0.319 0.638
```

Properties
E, eV/atom: -6.3185
ρ, g cm⁻³: 8.83
Relative energy among the computed polymorphs, meV per atom: 26.4
Magnetization, μB per atom: 0.000

---

# 8
The following is a PBE-GGA calculation of an optimized crystal structure of ZnAg3F7, from Alexandria.

POSCAR file:
```
ZnAg3F7
1.0
5.030 0.171 2.198
-0.990 4.935 2.198
-0.414 -0.523 5.990
Zn Ag F
1 3 7
Direct
0.011 0.011 0.967
0.797 0.240 0.462
0.504 0.504 0.961
0.240 0.797 0.462
0.186 0.186 0.155
└──
(Outcome)
The following is a PBE-GGA calculation of an optimized crystal structure of PrSmGa2, from Alexandria.
The following is a PBE-GGA calculation of an optimized crystal structure of AsOs2Cl, from Alexandria.
The following is a PBE-GGA calculation of an optimized crystal structure of Ga2SbPbS6, from Alexandria.
The following is a PBE-GGA calculation of an optimized crystal structure of LiAsCl2, from Alexandria.
The following is a PBE-GGA calculation of an optimized crystal structure of La2ScMo, from Alexandria.
The following is a PBE-GGA calculation of an optimized crystal structure of LaScSb2, from Alexandria.
The following is a PBE-GGA calculation of an optimized crystal structure of NdSmHf, from Alexandria.
The following is a PBE-GGA calculation of an optimized crystal structure of ZnAg3F7, from Alexandria.